Brief:
Reproduce only the last part of the entries underneath, starting with the line that has "0.177 0.109".

Entries:
+++
Here is a crystal of Zr7As4 relaxed with PBEsol from Alexandria via LeMat-Bulk. Energies are from meta-GGA SCAN.

Output
**Energy**: -27.990 eV per atom
**SG**: C2/m, No. 12

abc: 8.271 8.271 14.953
angles: 104.35 104.35 25.57
Element x y z (fractional)
Zr1 0.000 0.000 0.000
Zr2 0.002 0.002 0.664
Zr3 0.179 0.179 0.544
Zr4 0.196 0.196 0.308
Zr5 0.206 0.206 0.796
Zr6 0.338 0.338 0.033
Zr7 0.430 0.430 0.832
Zr8 0.500 0.500 0.500
Zr9 0.570 0.570 0.168
Zr10 0.662 0.662 0.967
Zr11 0.794 0.794 0.204
Zr12 0.804 0.804 0.692
Zr13 0.821 0.821 0.456
Zr14 0.998 0.998 0.336
As1 0.062 0.062 0.850
As2 0.177 0.177 0.109
As3 0.370 0.370 0.339
As4 0.372 0.372 0.600
As5 0.628 0.628 0.400
As6 0.630 0.630 0.661
As7 0.823 0.823 0.891
As8 0.938 0.938 0.150



Here is a crystal of IBr2F relaxed with PBEsol from Alexandria via LeMat-Bulk. Energies are from meta-GGA SCAN.

Output
**ΔE_f (raw)**: 238 meV per atom
**SG**: I-42d, No. 122

abc: 10.159 10.159 10.159
angles: 154.84 154.84 35.87
Element x y z (fractional)
I1 0.000 0.000 0.000
I2 0.750 0.250 0.500
Br1 0.120 0.625 0.995
Br2 0.375 0.370 0.495
Br3 0.630 0.125 0.005
Br4 0.875 0.880 0.505
F1 0.250 0.750 0.500
F2 0.500 0.500 0.000

~~~~~

# 1
DFT (PBEsol) results for a relaxed MgTaPb2 crystal.

Values from the calculation:
As for the final energy: -20.68 eV for the cell shown. The value obtained for the calculated formation energy is 0.3964 eV per atom.

a b c (Å): 3.881 3.881 5.958
angles (deg): 90.00 90.00 90.00
Positions (direct):
Mg 0.500 0.500 0.749
Pb 0.000 0.000 0.977
Pb 0.500 0.500 0.283
Ta 0.000 0.000 0.491

# 2
DFT (PBEsol) results for a relaxed MgTaPb2 crystal.

Values from the calculation:
As for the final energy: -20.46 eV for the cell shown. The value obtained for the calculated formation energy is 0.4515 eV per atom.

a b c (Å): 3.671 4.901 4.901
angles (deg): 90.00 90.00 90.00
Positions (direct):
Mg 0.500 0.000 0.000
Pb 0.000 0.000 0.500
Pb 0.000 0.500 0.000
Ta 0.500 0.500 0.500

# 3
DFT (PBEsol) results for a relaxed MgTa2Pb crystal.

Values from the calculation:
As for the final energy: -29.31 eV for the cell shown. The value obtained for the calculated formation energy is 0.3758 eV per atom.

a b c (Å): 2.984 4.682 5.658
angles (deg): 90.00 99.15 90.00
Positions (direct):
Mg 0.427 0.000 0.472
Pb 0.342 0.500 0.760
Ta 0.954 0.000 0.008
Ta 0.777 0.500 0.259

# 4
DFT (PBEsol) results for a relaxed MgTa2Pb crystal.

Values from the calculation:
As for the final energy: -29.02 eV for the cell shown. The value obtained for the calculated formation energy is 0.4489 eV per atom.

a b c (Å): 2.942 4.578 5.781
angles (deg): 90.00 90.00 90.00
Positions (direct):
Mg 0.500 0.500 0.000
Pb 0.500 0.500 0.500
Ta 0.000 0.000 0.762
Ta 0.000 0.000 0.238

- The highest calculated formation energy belongs to which entry?
  number 2

- Look up the final energy of the second one.
  -20.46 eV for the cell shown
+++

Done:
As2 0.177 0.177 0.109
As3 0.370 0.370 0.339
As4 0.372 0.372 0.600
As5 0.628 0.628 0.400
As6 0.630 0.630 0.661
As7 0.823 0.823 0.891
As8 0.938 0.938 0.150



Here is a crystal of IBr2F relaxed with PBEsol from Alexandria via LeMat-Bulk. Energies are from meta-GGA SCAN.

Output
**ΔE_f (raw)**: 238 meV per atom
**SG**: I-42d, No. 122

abc: 10.159 10.159 10.159
angles: 154.84 154.84 35.87
Element x y z (fractional)
I1 0.000 0.000 0.000
I2 0.750 0.250 0.500
Br1 0.120 0.625 0.995
Br2 0.375 0.370 0.495
Br3 0.630 0.125 0.005
Br4 0.875 0.880 0.505
F1 0.250 0.750 0.500
F2 0.500 0.500 0.000

~~~~~

# 1
DFT (PBEsol) results for a relaxed MgTaPb2 crystal.

Values from the calculation:
As for the final energy: -20.68 eV for the cell shown. The value obtained for the calculated formation energy is 0.3964 eV per atom.

a b c (Å): 3.881 3.881 5.958
angles (deg): 90.00 90.00 90.00
Positions (direct):
Mg 0.500 0.500 0.749
Pb 0.000 0.000 0.977
Pb 0.500 0.500 0.283
Ta 0.000 0.000 0.491

# 2
DFT (PBEsol) results for a relaxed MgTaPb2 crystal.

Values from the calculation:
As for the final energy: -20.46 eV for the cell shown. The value obtained for the calculated formation energy is 0.4515 eV per atom.

a b c (Å): 3.671 4.901 4.901
angles (deg): 90.00 90.00 90.00
Positions (direct):
Mg 0.500 0.000 0.000
Pb 0.000 0.000 0.500
Pb 0.000 0.500 0.000
Ta 0.500 0.500 0.500

# 3
DFT (PBEsol) results for a relaxed MgTa2Pb crystal.

Values from the calculation:
As for the final energy: -29.31 eV for the cell shown. The value obtained for the calculated formation energy is 0.3758 eV per atom.

a b c (Å): 2.984 4.682 5.658
angles (deg): 90.00 99.15 90.00
Positions (direct):
Mg 0.427 0.000 0.472
Pb 0.342 0.500 0.760
Ta 0.954 0.000 0.008
Ta 0.777 0.500 0.259

# 4
DFT (PBEsol) results for a relaxed MgTa2Pb crystal.

Values from the calculation:
As for the final energy: -29.02 eV for the cell shown. The value obtained for the calculated formation energy is 0.4489 eV per atom.

a b c (Å): 2.942 4.578 5.781
angles (deg): 90.00 90.00 90.00
Positions (direct):
Mg 0.500 0.500 0.000
Pb 0.500 0.500 0.500
Ta 0.000 0.000 0.762
Ta 0.000 0.000 0.238

- The highest calculated formation energy belongs to which entry?
  number 2

- Look up the final energy of the second one.
  -20.46 eV for the cell shown